Assignment:
Could you set down the whole of the calculation results further down without additions?
Contents:
<<<
(1)
Starting from the GGA-PBE geometry in Alexandria, the X-ray powder pattern of Na2SnS3O7 was calculated for CuKα.

Structure:
```
Na2SnS3O7
1.0
6.543 0.000 0.000
2.774 8.489 0.000
1.634 -0.150 8.951
Na Sn S O
4 2 6 14
Cartesian
1.979 4.136 2.027
5.726 5.408 8.136
5.225 2.931 0.815
8.972 4.203 6.924
3.183 0.275 2.887
7.768 8.064 6.064
1.204 0.840 4.541
2.887 1.322 8.888
4.527 2.777 4.205
6.424 5.561 4.747
8.064 7.017 0.063
9.747 7.499 4.410
0.990 1.991 1.322
2.406 6.294 1.020
3.518 3.334 5.135
4.650 3.412 8.813
4.623 2.051 8.543
3.904 2.735 2.773
6.467 7.197 4.508
4.483 1.142 4.443
7.047 5.603 6.178
6.327 6.288 0.408
6.300 4.927 0.139
7.432 5.005 3.816
8.544 2.045 7.931
9.961 6.347 7.629
```

Peak list (10 most intense, 2θ from 10° to 90°, by angle)
- 2θ 10.42, intensity 60
- 2θ 14.49, intensity 100
- 2θ 15.00, intensity 88
- 2θ 18.95, intensity 66
- 2θ 22.98, intensity 31
- 2θ 26.54, intensity 75
- 2θ 30.44, intensity 60
- 2θ 31.20, intensity 30
- 2θ 33.63, intensity 31
- 2θ 35.75, intensity 33

=====

(2)
Starting from the GGA-PBE geometry in Alexandria, the X-ray powder pattern of Na2SrSO4 was calculated for CuKα.

Structure:
```
Na2SrSO4
1.0
-2.865 2.865 3.316
2.865 -2.865 3.316
2.865 2.865 -3.316
Na Sr S O
2 1 1 4
Cartesian
0.000 0.000 0.000
0.000 2.865 1.658
2.865 0.000 1.658
0.000 0.000 3.316
4.104 1.617 -0.008
1.617 1.627 0.008
-1.239 1.249 3.308
1.249 1.239 3.324
```

Peak list (10 most intense, 2θ from 10° to 90°, by angle)
- 2θ 20.48, intensity 61
- 2θ 21.93, intensity 14
- 2θ 31.21, intensity 27
- 2θ 34.96, intensity 100
- 2θ 37.63, intensity 22
- 2θ 41.66, intensity 26
- 2θ 44.73, intensity 40
- 2θ 57.99, intensity 38
- 2θ 73.85, intensity 15
- 2θ 76.09, intensity 11

* * * * *

Record 1
This entry pairs a crystal structure of La3Pr4Dy4 with its theoretical XRD peak list. Radiation: λ = 1.5418 Å (Cu Kα). Structure: a structure optimized by DFT (GGA-PBE).
Kinematic intensities with the Lorentz-polarization factor, no thermal factor.

Structure:
Unit cell a=10.971 b=6.773 c=6.773 alpha=50.97 beta=90.00 gamma=90.00
Sites, in units of the cell vectors:
La1 0.000 0.000 0.000
La2 0.287 0.162 0.162
La3 0.713 0.162 0.162
Pr1 0.000 0.705 0.705
Pr2 0.216 0.496 0.496
Pr3 0.500 0.631 0.631
Pr4 0.784 0.496 0.496
Dy1 0.000 0.305 0.305
Dy2 0.308 0.856 0.856
Dy3 0.500 0.358 0.358
>>>
Written answer:
(1)
Starting from the GGA-PBE geometry in Alexandria, the X-ray powder pattern of Na2SnS3O7 was calculated for CuKα.

Structure:
```
Na2SnS3O7
1.0
6.543 0.000 0.000
2.774 8.489 0.000
1.634 -0.150 8.951
Na Sn S O
4 2 6 14
Cartesian
1.979 4.136 2.027
5.726 5.408 8.136
5.225 2.931 0.815
8.972 4.203 6.924
3.183 0.275 2.887
7.768 8.064 6.064
1.204 0.840 4.541
2.887 1.322 8.888
4.527 2.777 4.205
6.424 5.561 4.747
8.064 7.017 0.063
9.747 7.499 4.410
0.990 1.991 1.322
2.406 6.294 1.020
3.518 3.334 5.135
4.650 3.412 8.813
4.623 2.051 8.543
3.904 2.735 2.773
6.467 7.197 4.508
4.483 1.142 4.443
7.047 5.603 6.178
6.327 6.288 0.408
6.300 4.927 0.139
7.432 5.005 3.816
8.544 2.045 7.931
9.961 6.347 7.629
```

Peak list (10 most intense, 2θ from 10° to 90°, by angle)
- 2θ 10.42, intensity 60
- 2θ 14.49, intensity 100
- 2θ 15.00, intensity 88
- 2θ 18.95, intensity 66
- 2θ 22.98, intensity 31
- 2θ 26.54, intensity 75
- 2θ 30.44, intensity 60
- 2θ 31.20, intensity 30
- 2θ 33.63, intensity 31
- 2θ 35.75, intensity 33

=====

(2)
Starting from the GGA-PBE geometry in Alexandria, the X-ray powder pattern of Na2SrSO4 was calculated for CuKα.

Structure:
```
Na2SrSO4
1.0
-2.865 2.865 3.316
2.865 -2.865 3.316
2.865 2.865 -3.316
Na Sr S O
2 1 1 4
Cartesian
0.000 0.000 0.000
0.000 2.865 1.658
2.865 0.000 1.658
0.000 0.000 3.316
4.104 1.617 -0.008
1.617 1.627 0.008
-1.239 1.249 3.308
1.249 1.239 3.324
```

Peak list (10 most intense, 2θ from 10° to 90°, by angle)
- 2θ 20.48, intensity 61
- 2θ 21.93, intensity 14
- 2θ 31.21, intensity 27
- 2θ 34.96, intensity 100
- 2θ 37.63, intensity 22
- 2θ 41.66, intensity 26
- 2θ 44.73, intensity 40
- 2θ 57.99, intensity 38
- 2θ 73.85, intensity 15
- 2θ 76.09, intensity 11

* * * * *

Record 1
This entry pairs a crystal structure of La3Pr4Dy4 with its theoretical XRD peak list. Radiation: λ = 1.5418 Å (Cu Kα). Structure: a structure optimized by DFT (GGA-PBE).
Kinematic intensities with the Lorentz-polarization factor, no thermal factor.

Structure:
Unit cell a=10.971 b=6.773 c=6.773 alpha=50.97 beta=90.00 gamma=90.00
Sites, in units of the cell vectors:
La1 0.000 0.000 0.000
La2 0.287 0.162 0.162
La3 0.713 0.162 0.162
Pr1 0.000 0.705 0.705
Pr2 0.216 0.496 0.496
Pr3 0.500 0.631 0.631
Pr4 0.784 0.496 0.496
Dy1 0.000 0.305 0.305
Dy2 0.308 0.856 0.856
Dy3 0.500 0.358 0.358